Photo: Dennis Christensen

Photo: Dennis Christensen

Photo: Dennis Christensen

Inside Penal Colonies and Detention Centers

Dennis Christensen Has Served Over Half His Sentence for Faith. The Law Allows His Release, but the Court Ignores the Motions

Oryol Region,   Kursk Region

Dennis Christensen, one of Jehovah's Witnesses from Denmark, has been in custody almost four years of six appointed. According to the law, the unserved part of the believer’s punishment can be replaced by a fine, but the court has already three times declined the option. Due to health weakened by pneumonia and the overarching pandemic threat, Christensen is in danger if confined in a colony. On March 20, 2020, the European Committee for the Prevention of Torture recommended to authorities “to reduce prison sentences more often,” as well as to “parole” convicts during the COVID-19 pandemic.

Dennis Christensen, a resident of Orel, was taken into custody on May 25, 2017. He became the first Jehovah's Witness to be convicted of his faith in modern Russia.

Here the page breaks off for materials data:
'''
The following is a PBE calculation of a relaxed structure of BeIn5Br8, from Alexandria via LeMat-Bulk.

Calculated values
Magnetization in μB per formula unit: 0.0
Energy relative to the elements, uncorrected in eV/atom: -0.697
Calculated total energy in eV per atom: -2.897

Lattice parameters (Å, degrees): 8.923 8.923 8.923 90.03 119.98 119.98
Fractional coordinates of all 14 atoms:
Be 0.500 0.750 0.250
In 0.768 0.656 0.881
In 0.226 0.112 0.344
In 0.232 0.114 0.888
In 0.000 0.500 0.500
In 0.774 0.119 0.886
Br 0.300 0.447 0.151
Br 0.704 0.853 0.553
Br 0.746 0.374 0.117
Br 0.744 0.372 0.626
Br 0.256 0.883 0.629
Br 0.296 0.849 0.149
Br 0.700 0.851 0.147
Br 0.254 0.371 0.628

=====

The following is a PBE calculation of a relaxed structure of KBeInBr4, from Alexandria via LeMat-Bulk.

Calculated values
Magnetization in μB per formula unit: 0.0
Energy relative to the elements, uncorrected in eV/atom: -1.145
Calculated total energy in eV per atom: -3.181

Lattice parameters (Å, degrees): 7.083 7.257 9.480 90.00 107.88 90.00
Fractional coordinates of all 14 atoms:
K 0.784 0.750 0.463
K 0.216 0.250 0.537
Be 0.195 0.750 0.282
Be 0.805 0.250 0.718
In 0.727 0.750 0.933
In 0.273 0.250 0.067
Br 0.003 0.492 0.779
Br 0.997 0.992 0.221
Br 0.997 0.508 0.221
Br 0.003 0.008 0.779
Br 0.407 0.750 0.156
Br 0.593 0.250 0.844
Br 0.335 0.750 0.523
Br 0.665 0.250 0.477

=====

The following is a PBE calculation of a relaxed structure of BeInBrO2, from Alexandria via LeMat-Bulk.

Calculated values
Magnetization in μB per formula unit: 0.0
Energy relative to the elements, uncorrected in eV/atom: 0.084
Calculated total energy in eV per atom: -3.527

Lattice parameters (Å, degrees): 3.960 6.807 3.960 90.00 90.00 90.00
Fractional coordinates of all 5 atoms:
Be 0.000 0.500 0.000
O 0.000 0.000 0.500
O 0.500 0.000 0.000
Br 0.500 0.500 0.500
In 0.000 0.000 0.000

=====

The following is a PBE calculation of a relaxed structure of RbBe2InBr6, from Alexandria via LeMat-Bulk.

Calculated values
Magnetization in μB per formula unit: 0.0
Energy relative to the elements, uncorrected in eV/atom: -1.070
Calculated total energy in eV per atom: -3.190

Lattice parameters (Å, degrees): 9.160 9.160 10.360 102.59 102.59 103.95
Fractional coordinates of all 20 atoms:
Rb 0.182 0.818 0.250
Rb 0.818 0.182 0.750
Be 0.342 0.145 0.713
Be 0.855 0.658 0.787
Be 0.658 0.855 0.287
Be 0.145 0.342 0.213
In 0.585 0.415 0.250
In 0.415 0.585 0.750
Br 0.930 0.368 0.129
Br 0.632 0.070 0.371
Br 0.070 0.632 0.871
Br 0.368 0.930 0.629
Br 0.218 0.157 0.120
Br 0.843 0.782 0.380
Br 0.782 0.843 0.880
Br 0.157 0.218 0.620
Br 0.307 0.518 0.385
Br 0.482 0.693 0.115
Br 0.693 0.482 0.615
Br 0.518 0.307 0.885

=====

The following is a PBE calculation of a relaxed structure of Be2TlInBr6, from Alexandria via LeMat-Bulk.

Calculated values
Magnetization in μB per formula unit: 0.0
Energy relative to the elements, uncorrected in eV/atom: -0.873
Calculated total energy in eV per atom: -3.133
'''

Christensen spent 731 days in the Oryol pre-trial detention center, and after the trial a year ago he was sent to colony No. 3 in the Kursk region. According to the Criminal Code, 1 day of detention in a pre-trial detention center is equal to 1.5 days in a colony. Consequently, to date, Christensen has spent almost 4 years in prison out of 6 appointed by the court.

Since the law allows for a prisoner's sentence to be mitigated after serving half of his sentence, Christensen sent requests to the Lgov District Court to that effect. The judges returned three of the four motions, each time citing a formal, clerical reason. The last petition was sent on April 15, 2020, there is no court response to it yet.

Addressing the court, Dennis Christensen asks to take into account the opinion of the European Committee for the Prevention of Torture of March 20, 2020, according to which, during the COVID-19 pandemic, the authorities are advised to "more often resort to reducing prison terms", as well as to "parole" of convicts.

"I fear for my life in view of the likely spread of coronavirus infection on the territory of correctional colony No. 3, where I am serving my sentence," Christensen wrote in the petition, pointing out that in October 2019 he suffered a severe form of pneumonia, which made his body even more vulnerable to infection.

# The text is interrupted by materials data
[1]
Computed, not measured: a relaxed structure of NaPuMnCl6 at the PBE level of DFT.

Summary:
Crystal system: trigonal

Lattice parameters (Å, degrees): 6.8065 6.8065 12.4564 90.00 90.00 120.00
Space group P-31c (No. 163)
Symmetry-distinct sites (fractional):
Na  0.0000  0.0000  0.0000 (multiplicity 2)
Pu  0.3333  0.6667  0.2500 (multiplicity 2)
Mn  0.3333  0.6667  0.7500 (multiplicity 2)
Cl  0.0211  0.3629  0.6337 (multiplicity 12)

---

[2]
Computed, not measured: a relaxed structure of RbNaMn2Cl8 at the PBE level of DFT.

Summary:
Crystal system: trigonal

Lattice parameters (Å, degrees): 6.7296 6.7296 9.4750 90.00 90.00 120.00
Space group P-3 (No. 147)
Symmetry-distinct sites (fractional):
Rb  0.0000  0.0000  0.0000 (multiplicity 1)
Na  0.0000  0.0000  0.5000 (multiplicity 1)
Mn  0.3333  0.6667  0.7526 (multiplicity 2)
Cl  0.0225  0.3368  0.6916 (multiplicity 6)

The verdict against Dennis Christensen, as well as the repression of Jehovah's Witnesses in Russia as a whole, outraged international democratic structures , both non-governmental and state-owned. In Russia itself, the human rights community also recognized the verdict against the Dane as illegal.

Case of Christensen in Oryol

Case History
Dennis Christensen is the first Jehovah’s Witness in modern Russia to be imprisoned only because of his faith. He was arrested in May 2017. The FSB accused the believer of organizing the activities of a banned organization on the basis of the testimony of a secret witness, theologian Oleg Kurdyumov from a local university, who kept covert audio and video recordings of conversations with Christensen about faith. There are no extremist statements or victims in the case. In 2019, the court sentenced Christensen to 6 years in prison. The believer was serving time in the Lgov colony. He repeatedly asked for the replacement of part of the unserved term with a fine. For the first time, the court granted the request, but the prosecutor’s office appealed this decision, and the prison administration threw the believer into a punishment cell on trumped-up charges. Christensen developed illnesses that prevented him from working in prison. On May 24, 2022, the believer was released after serving his sentence and was immediately deported to his homeland, Denmark.

Between two parts of the article: data records:
- - -
Entry 1:
Compound: Pu3NbN
Source: the Alexandria database
Functional: PBE
Structure: optimized geometry

Cell lengths 4.7175, 4.7175, 4.7175 Å; angles 90.00, 90.00, 90.00 degrees
Space group Pm-3m (No. 221)
Symmetry-distinct sites (fractional):
Pu 0.0000 0.0000 0.5000
Nb 0.5000 0.5000 0.5000
N 0.0000 0.0000 0.0000

Values from the calculation:
mass density: 13.27 Mg/m³
energy relative to the elements, uncorrected: -0.1776 eV per atom
Fermi-level density of states: 3.289 states/eV per atom

=====

Entry 2:
Compound: SrMgCu2Si2
Source: the Alexandria database
Functional: PBE
Structure: optimized geometry

Cell lengths 4.1832, 4.1832, 7.3501 Å; angles 90.00, 90.00, 120.00 degrees
Space group P-3m1 (No. 164)
Symmetry-distinct sites (fractional):
Sr 0.0000 0.0000 0.0000
Mg 0.0000 0.0000 0.5000
Cu 0.3333 0.6667 0.6682
Si 0.3333 0.6667 0.2945

Values from the calculation:
mass density: 4.40 Mg/m³
energy relative to the elements, uncorrected: -0.2865 eV per atom
Fermi-level density of states: 0.537 states/eV per atom

=====

Entry 3:
Compound: Cs5Au3
Source: the Alexandria database
Functional: PBE
Structure: optimized geometry

Cell lengths 9.4267, 9.4267, 17.7990 Å; angles 90.00, 90.00, 90.00 degrees
Space group P4/ncc (No. 130, origin choice 2)
Symmetry-distinct sites (fractional):
Cs 0.0660 0.5832 0.1087
Cs 0.2500 0.2500 0.2309
Au 0.1395 0.6395 0.7500
Au 0.2500 0.2500 0.0138

Values from the calculation:
mass density: 5.27 Mg/m³
DFT formation energy: -261 meV/atom
Fermi-level density of states: 0.438 states/eV per atom

=====

Entry 4:
Compound: ZrCu2Pb
Source: the Alexandria database
Functional: PBE
Structure: optimized geometry

Cell lengths 3.2262, 3.2262, 7.1363 Å; angles 90.00, 90.00, 90.00 degrees
Space group P4mm (No. 99)
Symmetry-distinct sites (fractional):
Zr 0.0000 0.0000 0.0000
Cu 0.0000 0.0000 0.3977
Cu 0.5000 0.5000 0.2397
Pb 0.5000 0.5000 0.6735

Values from the calculation:
mass density: 9.51 Mg/m³
DFT formation energy: 54 meV/atom
Fermi-level density of states: 0.794 states/eV per atom

=====

Entry 5:
Compound: HfThAs2
Source: the Alexandria database
Functional: PBE
Structure: optimized geometry

Cell lengths 4.2145, 4.2145, 25.1519 Å; angles 90.00, 90.00, 120.00 degrees
Space group R-3m (No. 166, hexagonal axes)
Symmetry-distinct sites (fractional):
Hf 0.0000 0.0000 0.0000
Th 0.0000 0.0000 0.5000
As 0.0000 0.0000 0.1014

Values from the calculation:
energy above the lowest structure with this stoichiometry: 3.95 eV/f.u.
mass density: 7.22 Mg/m³
DFT formation energy: -173 meV/atom
Fermi-level density of states: 0.476 states/eV per atom

=====

Entry 6:
Compound: SiMoBr2
Source: the Alexandria database
Functional: PBE
Structure: optimized geometry

Cell lengths 3.1981, 3.1981, 33.5059 Å; angles 90.00, 90.00, 120.00 degrees
Space group R-3m (No. 166, hexagonal axes)
Symmetry-distinct sites (fractional):
Si 0.0000 0.0000 0.0000
Mo 0.0000 0.0000 0.5000
Br 0.0000 0.0000 0.1113

Values from the calculation:
- - -

Persons in case

Criminal case

Oryol Region
Suspected of:
according to the investigation, together with the others he conducted religious services, which is interpreted as “organising the activity of an extremist organisation” (with reference to the court’s decision on the liquidation of the local organisation of Jehovah’s Witnesses)
Court case number:
May 23, 2017
Current case stage:
the verdict entered into force
UFSB of Russia in the Oryol region
Articles of Criminal Code of Russian Federation:
282.2 (1)
Court case number:
[i18n] Рассмотрено судом первой инстанции:
Железнодорожный районный суд г. Орла
Алексей Николаевич Руднев
[i18n] Суд апелляционной инстанции:
Орловский областной суд
[i18n] Суд апелляционной инстанции:
Льговский райсуд Курской области
Case History